223 in 2023 · family · fitness

Catherine meets her 223 workouts for 2023 with time to spare

Well, it’s happened. I didn’t know if it ever would. But this was my year. Yes, I’m talking about finishing my 223 workouts in 2023 challenge without frantically rushing around the block multiple times on December 30 or grimly doing bridge exercises in my living room. But, on December 22, I made it: hit the 223 mark!

A stick figure with thumbs up saying go me!
Go me!

Yes, I know this news isn’t of tremendous import: I wasn’t the first over the line, and it was Dec 22 when I met the goal. But: this was the first year since I joined the challenge group in 2018 that it went so smoothly. Every other year, I had to plot and plan to get the workouts in over the holidays so I could finish up by Dec 30 or 31. All that last-minute hustling left me feeling foolish instead of glad or proud. Not good.

A blue smiley face, frowning, and caption of poor me!
Poor me!

But that didn’t happen this year. What was different in 2023?

Looking back, I see a few changes. The main one is that I sought out or let myself be pulled into group activity. This sounds simple, but during the pandemic many of us shifted to more solitary workouts. I thought that would go well for me. It so didn’t. Turns out I do much better in groups, even groups where I’m the least fit person.

### Calculated molecules from another source follow
<<<
Below is a 40-piece molecular cluster, H80O40 overall in a non-equilibrium geometry, with properties calculated with the ωB97M-V functional and the def2-TZVPD basis.

As for the energy: -3057.4947 Eh. The calculation puts the lowest unoccupied orbital energy at -0.841 eV. The value obtained for the relative energy (zero: lowest compared OMol25 entry of this formula, charge and spin) is 164.8 kcal/mol. The orbital gap comes out at 9.228 eV. Its HOMO energy is -10.07 eV.

```
! wB97M-V def2-TZVPD RIJCOSX def2/J DEFGRID3
* xyz 0 1
H 0.22286 2.07000 -1.71066
H 1.04026 2.33312 -2.93205
O 0.75022 2.76376 -2.12046
H -2.36156 0.82540 0.61824
H -0.90418 0.58008 -0.24856
O -1.48716 1.08350 0.31861
H 0.78530 -1.01968 2.35258
H 1.68826 -2.29359 2.15495
O 1.45513 -1.43015 1.78110
H -3.15735 -2.03836 0.10645
H -3.15147 -1.97897 -1.37814
O -3.00991 -2.60621 -0.65798
H 0.01808 5.71633 -0.11351
H 0.78858 5.90621 1.17654
O 0.40066 5.21049 0.62030
H 0.92738 0.67765 4.08000
O 0.38562 1.12284 3.43190
H 3.28745 3.06479 -1.71060
O 3.75073 2.37511 -2.28392
H -2.32367 -4.48995 1.19616
H -2.14721 -5.94586 1.67118
O -2.40186 -5.43194 0.90219
H -0.77381 5.61608 -2.74243
H -1.04443 4.88551 -1.44302
O -0.64847 5.69966 -1.79804
H -1.28374 -2.34915 2.05404
H -2.42153 -2.94667 2.87949
O -1.96273 -3.08273 2.03741
H 4.85767 -4.28142 -0.12722
H 3.29294 -3.94890 0.19192
O 4.18513 -4.02112 0.50628
H 0.18068 -5.64364 -1.71985
O 0.35157 -4.86186 -1.20263
H 1.78453 4.04689 3.91435
H 1.12445 4.34798 5.24485
O 0.90022 4.11960 4.33300
H 1.66666 3.86927 -0.87550
H 2.28811 2.65739 -0.27962
O 2.48319 3.61693 -0.36773
H 1.19096 1.12728 1.56669
H 2.37794 0.38526 0.66125
O 1.70965 1.10089 0.75792
H 2.64174 -2.31904 -2.96722
H 2.20269 -1.31877 -4.02363
O 2.31602 -2.26528 -3.87393
H -5.11623 -1.41397 0.26154
H -4.56398 -0.17198 1.20921
O -4.50097 -0.65865 0.38732
H -0.73778 -3.60824 -3.36348
H -1.87811 -4.49761 -3.33093
O -1.70073 -3.55004 -3.47865
H 3.30928 4.94497 1.15620
O 2.64296 4.73673 1.82271
H 2.52987 2.13308 -4.55378
H 1.42161 3.06058 -4.91194
O 2.33543 2.92144 -5.08667
H -3.91091 0.91332 2.98424
O -3.34201 1.43483 2.38006
H -0.78989 -4.03612 4.98042
H 0.10712 -3.48442 5.95846
O -0.83546 -3.47296 5.75850
H -1.13188 -1.73033 -1.43763
H -1.81597 -0.41735 -2.09781
O -1.20533 -1.14836 -2.21302
H -2.97813 1.68952 -2.86446
H -2.10035 1.82846 -1.64606
O -2.08775 1.94877 -2.55876
H -2.10180 -0.22662 2.42504
H -0.52073 -0.14258 2.10810
O -1.25835 -0.68940 2.38342
H 4.12643 0.69851 0.08195
H 3.55611 0.90323 -1.36882
O 3.64551 0.23775 -0.64145
H 3.59553 2.53960 1.35490
H 5.16761 2.68002 1.17475
O 4.44762 2.07738 1.38186
H -4.01284 -0.42041 -2.43784
H -4.05415 0.40502 -1.16780
O -4.04052 0.49640 -2.14218
H 0.39054 -1.88143 0.53572
H 1.06660 -2.43208 -0.82024
O 0.26629 -2.17571 -0.36685
H 5.05927 -0.47319 -1.35800
H 6.43930 -1.04790 -1.37980
O 5.74955 -0.75787 -1.99365
H -2.72547 0.11421 4.88832
H -4.14360 0.80321 5.14265
O -3.65063 0.16423 4.62445
H 0.41000 -0.04697 -2.34371
>>>

Also, I traveled more in 2023, seeing friends and family, going to conferences, doing a little touristing even. Again, I wasn’t a solitary self for any of these trips; I was accompanied by friends or family, who swam and walked and cycled and did yoga alongside me. It was fun. More often than not it was low-key as well– just getting outside and enjoying ourselves.

My sister and niece with the dogs, accompanying me on workout number 223.

This year I tried to say yes to more outings with people, to worry less about my fitness and instead to focus on spending time with people whose company I enjoy. And those people often like to move around in space (including water). So I went with them, and enjoyed myself as well.

Finally, a big shout-out to Nature, for being there all the time, ready to accept our visits. None of this is news to any of us, but heading out to green spaces, preferably near water, smooths out the rough edges of anyone’s day. Here are a few highlights from workout #224, done yesterday with family.

Quantum chemistry results that have nothing to do with the piece:
____________
Below is C10H11N in the gas phase in a non-equilibrium geometry, with properties calculated with ωB97M-V/def2-TZVPD.

## Properties
**SMILES**: C=C=C(C)/C=C\C=C(\C)C#N
**Frontier orbital gap**: 8.0 eV

Each line ends with the Löwdin charge.
Geometry (Å):
C1 -1.74409 0.51463 0.66286  -0.228
C2 0.51240 2.15042 0.34073  -0.093
C3 0.25765 1.71882 -0.90129  -0.055
C4 0.34201 1.29680 1.47990  -0.046
C5 0.06836 0.34352 -1.35012  -0.288
C6 0.00809 -0.71505 -0.56712  -0.117
C7 0.03959 -1.85200 0.00079  0.008
C8 -0.63229 0.39159 1.49268  -0.382
C9 -0.18228 0.21316 -2.79945  -0.039
C10 -0.96361 -0.48159 2.62231  -0.077
N1 -2.51628 0.78094 -0.17219  0.227
H1 0.89355 3.15103 0.58702  0.113
H2 0.52776 2.45015 -1.63411  0.106
H3 1.16204 1.24129 2.28841  0.161
H4 0.98979 -2.39813 -0.05341  0.082
H5 -0.87557 -2.53825 0.02155  0.114
H6 0.26504 -0.73636 -3.12852  0.098
H7 0.14338 0.93890 -3.48864  0.067
H8 -1.21225 0.15677 -2.93762  0.066
H9 -1.80067 -1.09145 2.34955  0.065
H10 -1.27344 0.07069 3.57698  0.114
H11 -0.28232 -1.24375 3.11233  0.104

***

Below is 3 unconnected molecules or ions with the total composition C22H44FN6O7, with properties calculated with ωB97M-V/def2-TZVPD.

## Properties
**Net charge**: +1
**Frontier orbital gap**: 5.5 eV

Each line ends with the Löwdin charge.
Geometry (Å):
N1 -0.07057 5.68402 -4.04764  0.083
C1 0.79612 4.95476 -3.12406  -0.660
N2 1.35609 5.95541 -2.21365  0.100
N3 -0.04414 3.92466 -2.54550  0.101
C2 1.95999 4.27888 -3.92987  -0.042
C3 3.21576 4.03417 -3.15950  -0.108
C4 3.16547 3.61258 -1.83940  0.082
C5 4.31298 3.40603 -1.10542  -0.055
C6 4.23315 3.00834 0.33768  -0.501
O1 3.87693 3.79257 1.16362  0.182
O2 4.60325 1.74570 0.55511  0.155
C7 5.55623 3.61229 -1.70390  0.067
C8 5.57953 4.00979 -3.00128  0.013
N4 4.44203 4.19555 -3.71439  0.027
C9 4.64265 4.57963 -5.12697  0.018
C10 5.51267 3.58974 -5.88020  -0.439
O3 6.18735 3.86985 -6.80279  0.221
F1 5.38924 2.33550 -5.40086  0.130
H1 0.40902 6.53292 -4.33252  0.087
H2 -0.20881 5.15553 -4.90300  0.090
H3 1.35001 5.60858 -1.26240  0.080
H4 0.72726 6.75142 -2.19718  0.087
H5 0.25179 3.58318 -1.64100  0.052
H6 -0.98501 4.29043 -2.47468  0.092
H7 2.12815 4.88980 -4.80785  0.101
H8 1.58999 3.30653 -4.26322  0.146
H9 2.21263 3.44715 -1.36681  0.116
H10 4.86737 1.67160 1.48696  0.153
H11 6.48264 3.45636 -1.17443  0.147
H12 6.51651 4.18649 -3.50819  0.159
H13 3.69628 4.59954 -5.64887  0.129
H14 5.14998 5.53778 -5.16302  0.160
C11 1.06553 -2.70769 1.71495  -0.113
O4 0.99514 -2.82875 0.30899  -0.194
C12 -0.24905 -3.33006 -0.17467  -0.203
C13 -1.02862 -2.25845 -0.90149  -0.208
N5 -1.51377 -1.23933 0.02146  -0.044
C14 -2.07109 -0.05069 -0.61011  -0.195
C15 -1.16172 0.78825 -1.49870  -0.219
O5 -0.11963 1.46168 -0.80369  -0.210
C16 1.03144 0.68140 -0.53762  -0.080
H15 2.10309 -2.49706 1.97046  0.086
H16 0.43938 -1.89283 2.09835  0.078
H17 0.76653 -3.63637 2.20893  0.090
H18 -0.84311 -3.75856 0.63743  0.108
H19 -0.02122 -4.13295 -0.88008  0.127
H20 -1.88572 -2.71995 -1.39999  0.127
____________

I expect I’ll rack up a few more workouts before year’s end. But I’m not sweating it. And that, my friends, is news to me!

Dear readers, how is your end of year activity going? Are you getting out there? Staying in? Looking to bust out of a relative’s living room to stretch your legs? Running after dogs or kids? I’d love to hear from you.

Let us know what you think....